Flash Fiction: Signs of Life – Part 18

This entry is part 18 of 41 in the Flash Fiction: Signs of Life

Written in 60 minutes.

Quartermaine Mansion: Master Bedroom

Carly’s voice was filtering out from the bathroom as AJ went into their bedroom that afternoon. He’d slept in another room the night before, still seething over Carly’s humiliation. Everyone knew his wife preferred Jason to him, and AJ put up with it to keep his family together. To give Michael both his parents. For all her faults, Carly was a decent mother and AJ didn’t want to lose his son, even to partial custody.

He was ready to make another attempt at convincing Carly to give their marriage a chance. So he went towards the bathroom and gently pushed on the slightly ajar door to hear whoever she was talking to better.

“I can’t tell you anymore than that,” Carly said, her teeth clenched. “Can’t you work with what I’ve told you? He was shot at the same time that Moreno guy went missing! No, you can’t have my name you little cretin—just do your damn job—” She slammed the phone down and whirled around, stopping dead when she saw AJ leaning against the door frame, his arms crossed. “When did you get here?”

“So my little brother got shot at the same time Anthony Moreno went missing?” AJ repeated. “And you knew about it. How?”

Carly glared at him, her lips pressed together. AJ shook his head. “You’re not going to be able to keep this to yourself, Caroline. How did you know Jason was shot?”

“Jason got pissed at me for some reason,” Carly bit out, “and I couldn’t get a hold of him. Not because I was sleeping with him, so don’t get any ideas—”

“That’s not answering my question—”

“I followed that little twit,” Carly retorted. “She was ducking out of work, claiming to be sick. I followed her back to her studio and confronted them both. Everyone thinks they were sleeping together, but she was taking care of him. He got shot.”

“And you kept the secret because it suited you.” AJ straightened. “Now, because you were wrong about his relationship with Elizabeth Webber—”

“I wasn’t wrong!”

“Obviously you were since they got married yesterday,” AJ said coolly. “Now that Jason has married someone else, you decided to pay him back.”

“Why do you care?” Carly said sullenly. “I would think you’d want me to hurt him—”

AJ wasn’t that wild about Jason these days — not after months of being lied to and then having to go to court when Jason sued for visitation. But at the end of the day, Jason had loved Michael and been a decent father. He’d walked away from the visitation, and to the best of AJ’s knowledge, walked away from Carly. No way she was this angry if Jason had still been giving her hope. Still —

“You’re trying to have it both ways,” AJ said. “You’re doing an anonymous tip, Carly. If you’re ready to make Jason pay and put him in the past, go to the PCPD and make a statement.”

She clenched her jaw. “But—”

“But what?” AJ asked pleasantly. “It doesn’t suit you? You don’t want to burn all the bridges with my brother?”

“You’re deliberately twisting all my words—” Carly exhaled slowly. “Fine. Okay. Will you stop accusing me of sleeping with Jason every other minute if I go to the PCPD?”

“Yes. You go on the record turning my brother in, and I’ll believe it’s done between the two of you.”

General Hospital: Waiting Area

Elizabeth could feel the weight of the stares from nurses, doctors, patients—practically everyone she passed as she went up to the doctor’s offices and towards Gail Baldwin’s office, but she ignored them.

It wasn’t like the way everyone had looked at her after the Christmas party when they’d been snickering and waiting for Jason to get tired of her. Now, they were twisted and turned around — Jason had married her instead of breaking it off. No doubt they were probably going to be counting down the months and waiting for a baby.

Unless the immaculate conception took place, they’d be in for a rude awakening.

********
# MgAg2Hg2O4, optimized geometry, DFT PBE
# theoretical density: 7.19 g/cm³
# magnetization: 0.0 μB/cell
# DFT total energy: -0.1374 Ha/atom
# ΔH_f (0 K): -970 meV per atom
# E above lowest polymorph: 0.0 meV/atom
# crystal system: triclinic
data_MgAg2Hg2O4
_chemical_formula_sum 'Mg1 Ag2 Hg2 O4'
_symmetry_space_group_name_H-M 'P 1'
_symmetry_Int_Tables_number 1
_cell_length_a 3.579
_cell_length_b 6.833
_cell_length_c 7.362
_cell_angle_alpha 69.19
_cell_angle_beta 76.21
_cell_angle_gamma 80.36
loop_
_symmetry_equiv_pos_as_xyz
'x,y,z'
loop_
_atom_site_label
_atom_site_fract_x
_atom_site_fract_y
_atom_site_fract_z
Mg1 0.000 0.000 0.000
Ag1 0.382 0.679 0.342
Ag2 0.841 0.378 0.638
Hg1 0.272 0.406 0.075
Hg2 0.817 0.880 0.644
O1 0.071 0.687 0.116
O2 0.118 0.074 0.707
O3 0.429 0.105 0.069
O4 0.508 0.664 0.621

***

# RbCe3Te8, optimized geometry, DFT PBE
# theoretical density: 6.07 g/cm³
# magnetization: 9.6 μB/cell
# DFT total energy: -0.1747 Ha/atom
# ΔH_f (0 K): -1375 meV per atom
# crystal system: monoclinic
data_RbCe3Te8
_chemical_formula_sum 'Rb4 Ce12 Te32'
_symmetry_space_group_name_H-M 'P 1'
_symmetry_Int_Tables_number 1
_cell_length_a 14.176
_cell_length_b 13.081
_cell_length_c 9.134
_cell_angle_alpha 90.00
_cell_angle_beta 99.34
_cell_angle_gamma 90.00
loop_
_symmetry_equiv_pos_as_xyz
'x,y,z'
loop_
_atom_site_label
_atom_site_fract_x
_atom_site_fract_y
_atom_site_fract_z
Rb1 0.037 0.092 0.257
Rb2 0.037 0.408 0.757
Rb3 0.963 0.592 0.243
Rb4 0.963 0.908 0.743
Ce1 0.342 0.749 0.085
Ce2 0.342 0.751 0.585
Ce3 0.351 0.085 0.080
Ce4 0.351 0.415 0.580
Ce5 0.353 0.084 0.597
Ce6 0.353 0.416 0.097
Ce7 0.647 0.584 0.903
Ce8 0.647 0.916 0.403
Ce9 0.649 0.585 0.420
Ce10 0.649 0.915 0.920
Ce11 0.658 0.249 0.415
Ce12 0.658 0.251 0.915
Te1 0.171 0.730 0.793
Te2 0.171 0.770 0.293
Te3 0.176 0.575 0.037
Te4 0.176 0.575 0.551
Te5 0.176 0.925 0.051
Te6 0.176 0.925 0.537
Te7 0.177 0.092 0.794
Te8 0.177 0.408 0.294
Te9 0.180 0.249 0.545
Te10 0.180 0.251 0.045
Te11 0.411 0.577 0.851
Te12 0.411 0.923 0.351
Te13 0.412 0.585 0.354
Te14 0.412 0.915 0.854
Te15 0.417 0.245 0.355
Te16 0.417 0.255 0.855
Te17 0.583 0.745 0.145
Te18 0.583 0.755 0.645
Te19 0.588 0.085 0.146
Te20 0.588 0.415 0.646
Te21 0.589 0.077 0.649
Te22 0.589 0.423 0.149
Te23 0.820 0.749 0.955
Te24 0.820 0.751 0.455
Te25 0.823 0.592 0.706
Te26 0.823 0.908 0.206
Te27 0.824 0.075 0.463
Te28 0.824 0.075 0.949
Te29 0.824 0.425 0.449
Te30 0.824 0.425 0.963
Te31 0.829 0.230 0.707
Te32 0.829 0.270 0.207

***

# Zr3Ni3Sb4, optimized geometry, DFT PBE
# theoretical density: 8.15 g/cm³
# DFT total energy: -0.2426 Ha/atom
# ΔH_f (0 K): -728 meV per atom
# maximum piezoelectric response: 1.47 C/m2
# crystal system: cubic
data_Zr3Ni3Sb4
_chemical_formula_sum 'Zr6 Ni6 Sb8'
_symmetry_space_group_name_H-M 'P 1'
_symmetry_Int_Tables_number 1
_cell_length_a 7.914
_cell_length_b 7.914
_cell_length_c 7.914
_cell_angle_alpha 109.47
_cell_angle_beta 109.47
_cell_angle_gamma 109.47
loop_
_symmetry_equiv_pos_as_xyz
'x,y,z'
loop_
********

She arrived at Gail’s office and waited to be let in by the receptionist, her pulse fluttering. She’d called Gail after Jason had left this morning, mostly on a whim, never expecting her grandmother’s best friend to move around her morning and agree to see her immediately.  Elizabeth thought she’d have more time to put together her thoughts, but now —

“Hello, darling.” Gail smiled, then kissed her cheek. “I had breakfast with your grandmother, so I know congratulations are in order.”

Elizabeth bit her lip. “Do you mean that?”

“Of course.” Gail squeezed her hands. “Two years ago, you were wondering if you’d ever be able to get this point, and now look at you.”

“That’s why I’m here. Um—” Elizabeth set down her jacket. “The thing is — I mean, Jason and I are married, but we haven’t—and we weren’t—” She closed her eyes. “I know what the rumors were saying, and I know the new ones think I’m pregnant. But I’m not. Jason and I got married, but we haven’t—we haven’t had sex.”

“All right.” Gail gestured for her take a seat. “Let’s talk about it, then.”

Morgan Penthouse: Living Room

Still irritated after the meeting with the leaders of the syndicate, Jason was disappointed to find out Elizabeth had left not long after he had. Had she mentioned going on? He didn’t remember, but it wasn’t his business. She could do whatever she wanted as long as she took Francis, and she had.

But he’d been looking forward to coming home and then taking her out on a ride. Getting away from all of this. They hadn’t been able to do that since before New Year’s, and he was starting chafe at all of this. He hated going to those meetings, hated being in this penthouse day after day.

He just wanted to feel the wind rushing past him, the roar of the engine in his ears—

The door opened behind him and Elizabeth came in, her cheeks flushed from the cold. She smiled at him. “Hey. I was hoping I’d get back before you. When did you get here?”

His mood instantly improved, Jason shrugged. “Just now. I didn’t know you were going anywhere.” He winced. “Not that you have to report to me—”

“No, but I’m sure knowing my schedule, especially right now, is useful. And it’s not like you want to call Francis,” Elizabeth said. She cleared her throat. “I didn’t know I’d be going anywhere, honestly. I called Gail Baldwin to make an appointment later in the week, and she had a cancellation this morning, so I went to the hospital.”

“Gail?” Jason echoed, remembering that Baldwin’s stepmother was also a therapist. “Is everything okay?”

“Yeah. It’s fine. It’s just—well—” Elizabeth exhaled in a rush of air. “I know we talked about it this morning, and I know you’re okay with it taking as long as it takes, but I still wanted to get…I don’t know. Some perspective.”

Jason drew his brows together, unsure. “Perspective?”

“Yeah.” She stripped off her coat and tossed it over the desk. “You know, like I trust you. Obviously—” Her cheeks flushed, and he knew she was remembering the night before. Standing in front of the mirror. He wasn’t that great at picturing things — but he didn’t think he’d ever forget that moment.

“At the same time, I guess I just need to understand what exactly I’m afraid of. Because if I can figure that out, we can—or I can—I don’t know, it made sense when Gail and I were talking.” She wrapped one arm around her waist, then used her other hand to bite her thumbnail. “I also don’t know how much you want to talk about any of this—”

“I want to talk about anything you want to,” Jason told her. He took off his jacket because it didn’t look like they were going to the cliffs anytime soon. He grabbed her jacket and then hung them both in the closet, wanting something to do with his hands. “You can tell me anything.”

“You say that, but I’m not sure if you—” Elizabeth took a deep breath. “Part of working through this means acknowledging what happened to me. In more detail than I think I was ready for when I was in therapy two years ago. And maybe it’s not you. Maybe it’s me. I’m afraid to say these things to you. I don’t—” Her voice thickened and she looked away.

Jason approached her, reaching for her hand, sliding his own fingers over the ragged thumbnail she’d bitten nearly to the quick. “You’re afraid that if you talk about what happened to you, it’ll change the way I feel about you,” he realized. She bit her lip, looked away. “That I won’t want to touch you. Or that I’ll be afraid to.”

“I don’t know. Yes. Okay, that’s—I mean, God, Jason, how am I supposed to tell you that the thing that scares me the most if that it’ll feel the same way? Like I’m being ripped apart, and that all I’ll feel is pain, and I’ll never—” She broke off in a rush, her eyes wide. “Oh, God.”

“You tell me like that,” he said roughly, forcing the words. “You just say it. Because you don’t have to live with it by yourself.” And how the hell did he actually handle that? The power and the responsibility of knowing that if he screwed this up — if he took one wrong step — he could bring it back to her — put her in that moment — “I’m scared, too,” he admitted in a low voice.

“You are?” Elizabeth asked. She wiped at her eyes, using her other thumb to dash away the tears. “I don’t want that—it shouldn’t be like this—”

“No, maybe not, but it is. And I care about you. I want this to be good for you. I want to make you feel—” Jason didn’t even know how to put it into words. “I don’t want you be scared of me. At any point.”

“I’m not. I’m really not.” Her voice caught on a sob as she said the words. “I’m not. But I’m afraid I will be, and I think it’ll just kill me.” She placed a hand on his chest as she said it and he drew her closer, clasping her hand in his.

“You need to know that there’s nothing you can say to me that’s going to make me stop wanting you,” Jason pledged and she met his eyes. “What you’ve been through—what you still go through every day—you never have to be scared you’ll say something that will change how much I want to be with you. It’s separate for me, okay? I don’t know how else to explain it. It doesn’t change how I see you.”

She rested her forehead against his chest, and they stood there for a long moment, their breathing the only sound in the room.

“G-Gail said that it’s normal for me to feel this way. That this coming up now makes sense. This is the closest I’ve been to a sexual relationship since the attack.” Elizabeth stepped back, but he kept her hand in his. “And that even if we—if I can do this—it doesn’t mean it won’t come back at times. Part of me just—God, wants it to be over with. To just get through it and—” She sighed. “But that’s not fair to you. To tell you just to do it and then I grit my teeth—”

“I wouldn’t—”

“I know—” She managed a weak smile. Then stepped back more, using both hands to wipe the tears from her cheeks now. “And she told me that. She said there’s no one way to get past this. That I can just do what we’ve been doing. Going as far as I feel comfortable with, but what if that takes months?”

“What if it does?” Jason asked, frowning. “You think I’ll change my mind in six weeks?”

“N-No, but I don’t want it to be like that. I’m tired of waiting to get my life back. I’m tired of feeling like what happened to me two years ago—something that took ten minutes—that’s all it was, you know? I was sitting on a bench, minding my own business, trying to think of how I’d get myself out of that stupid lie I’d told—and then I was on the ground, fighting and choking on my own screams—” She pressed her hands to her eyes. “I couldn’t make it stop. I couldn’t make him stop. And then it was over, and he was gone. Ten minutes of my life. It doesn’t get to ruin the rest of it.”

He felt helpless to help her sort through this. He’d done what he could — he’d reassured her, he thought he’d said all the right things, but at the end of the day — he couldn’t get inside her head and change anything. So Jason stood there, remaining silent, waiting.

“It doesn’t get to define who I am,” Elizabeth said, sounding stronger now. “I am not the girl who got raped, and I don’t want to be her forever. I can’t be the girl crawling out of the snow forever.”

“You’re not—”

“I’m more than that. I don’t know who I am all the way yet, but I think—” Elizabeth paused. “I need to be in control. I think that’s what this is. I was okay last night because I—I think I was in control. And then I wasn’t.”

Jason tilted his head to the side, trying to parse it out, then understanding. “Because you made the first move. And then I started to steer you towards the bed. I didn’t see it as taking control, but—”

“I know you didn’t,” she said quickly. “And I wasn’t scared. I just—I couldn’t go any further. But I wasn’t nervous or scared.”

“Okay.” He could live with that. “You need to be in control. That’s not a problem.”

Elizabeth blinked at him, a bit surprised. “It’s not?”

“No. Why would it be? If this is what you need, then that’s good enough for me.” And if at the end of the day, if letting Elizabeth be in complete control, meant he’d get to put his hands on her, then it was a win win situation. “We both get what we want, don’t we?”

“Um, yeah. I guess.” She chewed her lip. “I don’t actually know I’m doing then—”

Jason arched his brow. “You knew what you were doing last night,” he reminded her, his voice low again. Her cheeks flushed, but her eyes were sparkling now, her breathing just a bit quicker. “You took what you wanted. What do you want now?”

“Um—” Elizabeth drew her bottom lip between her teeth. “Really? I can say whatever I want?”

“Whatever you want.”

She cleared her throat. “So if I tell you to take off your shirt, you’ll just—you’ll just do it?”

As an answer, Jason reached for the hem of his black sweater and drew it over his head, tossing it behind him. Her eyes were as wide as saucers now and her tongue darted out to lick her lip.

“And you’d—if—I mean, if I asked you to take everything else off—” Her cheeks were flaming now, her voice a bit less sure. “You’d do that, too? You’d stand here in front of me naked?”

“If that’s what you want me to do.” He put his fingers at the buckle of the pants, undid his belt. “Is that what you want?”

“Um. Yes. That’s—” Her voice nearly squeaked as Jason stripped off the belt, tossed it with the shirt, then unzipped his pants. He paused when he was just in his briefs because he wanted her to be sure. Her breathing was even quicker now—

And then there was a knock at the door. Not just a knock, but an aggressive pounding. “Open up! It’s the PCPD! And we have a warrant!”


  • Oh my! Your going to make us wait a week to find out what happens?? Damn you Carly

    According to Becca on November 28, 2021
  • So mean! lol

    I love this story so much.

    According to Angela on November 28, 2021
  • You are evil and I was mad at you but then I had to laugh because I can see this as a scene playing in my head so of course they had to be interrupted by the PCPD right at that moment! Great chapter, looking forward to the next one. Oh, and I’m really glad Liz is seeking help from a professional and that Gail is making her a priority.

Data records, kept here for reference =
********
[1]
{"formula": "FeS4N4Cl5", "functional": "PBE-GGA", "state": "optimized geometry", "cell": [[-4.593, -4.650, -3.407], [5.121, -7.952, 0.307], [-3.447, -4.719, 8.604]], "species": ["N", "N", "N", "Fe", "S", "Cl", "S", "N", "Fe", "N", "S", "Cl", "S", "S", "Cl", "N", "Cl", "N", "Cl", "S", "Cl", "S", "Cl", "Cl", "S", "Cl", "Cl", "N"], "fractional_positions": [[0.433, 0.086, 0.649], [0.822, 0.611, 0.188], [0.178, 0.389, 0.812], [0.049, 0.810, 0.783], [0.470, 0.040, 0.798], [0.560, 0.416, 0.693], [0.378, 0.335, 0.866], [0.565, 0.839, 0.114], [0.951, 0.190, 0.217], [0.435, 0.161, 0.886], [0.668, 0.801, 0.469], [0.757, 0.303, 0.065], [0.530, 0.960, 0.202], [0.332, 0.199, 0.531], [0.816, 0.203, 0.415], [0.177, 0.324, 0.572], [0.798, 0.707, 0.808], [0.567, 0.914, 0.351], [0.034, 0.958, 0.199], [0.923, 0.602, 0.316], [0.440, 0.584, 0.307], [0.077, 0.398, 0.684], [0.243, 0.697, 0.935], [0.202, 0.293, 0.192], [0.622, 0.665, 0.134], [0.184, 0.797, 0.585], [0.966, 0.042, 0.801], [0.823, 0.676, 0.428]], "formation_enthalpy_0k_ev_per_atom": -0.21, "energy_corrected_mp2020_ev_per_atom": -5.035}

***

[2]
{"formula": "FeS4N4Cl3", "functional": "PBE-GGA", "state": "optimized geometry", "cell": [[-3.300, -2.877, 12.889], [-3.560, -5.186, -2.069], [9.340, -9.379, 0.298]], "species": ["Fe", "S", "N", "S", "N", "S", "Fe", "N", "N", "Cl", "S", "S", "N", "N", "Fe", "S", "N", "Cl", "N", "S", "S", "N", "N", "S", "N", "N", "S", "N", "Cl", "Cl", "S", "S", "S", "Cl", "Cl", "N", "Fe", "Cl", "N", "S", "Cl", "S", "N", "Cl", "Cl", "Cl", "S", "Cl"], "fractional_positions": [[0.489, 0.777, 0.689], [0.204, 0.670, 0.807], [0.291, 0.862, 0.219], [0.716, 0.961, 0.327], [0.896, 0.009, 0.775], [0.590, 0.878, 0.178], [0.011, 0.777, 0.189], [0.791, 0.138, 0.281], [0.787, 0.364, 0.607], [0.109, 0.097, 0.914], [0.284, 0.039, 0.673], [0.784, 0.961, 0.827], [0.118, 0.982, 0.429], [0.713, 0.364, 0.107], [0.989, 0.223, 0.811], [0.837, 0.234, 0.530], [0.213, 0.636, 0.393], [0.609, 0.903, 0.586], [0.709, 0.138, 0.781], [0.704, 0.330, 0.693], [0.216, 0.039, 0.173], [0.618, 0.018, 0.071], [0.604, 0.009, 0.275], [0.410, 0.122, 0.822], [0.209, 0.862, 0.719], [0.287, 0.636, 0.893], [0.163, 0.766, 0.470], [0.382, 0.982, 0.929], [0.400, 0.562, 0.620], [0.600, 0.438, 0.380], [0.910, 0.878, 0.678], [0.090, 0.122, 0.322], [0.796, 0.330, 0.193], [0.891, 0.903, 0.086], [0.551, 0.637, 0.838], [0.104, 0.991, 0.225], [0.511, 0.223, 0.311], [0.391, 0.097, 0.414], [0.882, 0.018, 0.571], [0.296, 0.670, 0.307], [0.949, 0.637, 0.338], [0.337, 0.766, 0.970], [0.396, 0.991, 0.725], [0.449, 0.363, 0.162], [0.900, 0.438, 0.880], [0.100, 0.562, 0.120], [0.663, 0.234, 0.030], [0.051, 0.363, 0.662]], "formation_enthalpy_0k_ev_per_atom": -0.07, "energy_corrected_mp2020_ev_per_atom": -5.393}

***

[3]
********

    According to Lisa on November 28, 2021
  • Fabulous update! Ohh Carly is a wretched witch and I want to slap AJ upside his head too. That cliffhanger was well played and left me wanting more. Hope you have a good week.

    According to nanci on November 28, 2021
  • Carly doesn’t know what she did. I can’t wait for Aj to get what is coming to him. Thanks for the update.

    According to Shelly Samuel on November 28, 2021
  • Oh goddammit Carly! 😉

    According to Jules on November 28, 2021
  • I love this story. I want Jason to tell Carly how he really feels about her and Elizabeth. She needs to go down

    According to Carolyn Grandchamp on November 28, 2021
  • Oh come on!!! Lol I can’t believe we have to wait another week! Damn the PCPD! Worst timing ever!

    According to GoldenGirl on November 28, 2021
  • Carly and the PCPD has the worst timing. All I can say is another nail in Carly’s downfall. I hope they don’t let Carly in to see Jason when he is in lock up. I am so glad Elizabeth has told Jason everything.

    According to Carla P on November 28, 2021
  • Dang! The PCPD has the worse timing. Carly just made a bigger mistake. I loved that Jason was so supportive of Elizabeth and she was making progress. She is a strong woman. It was great that she talked to Gail. Damn the PCPD and Carly!

    According to arcoiris0502 on November 28, 2021
  • AJ you make it hard to be fully on your side sometimes lol
    Jason gave up Michael & doesn’t want Carly what else does he need to do? He was already done with Carly getting her to make the report won’t change that all it does is complicate things for Jason who AJ should be grateful for & if not wanting to help him at least not actively unprompted causing him problems
    A crazy part of me hopes Jason says Carly shot him because he wouldn’t take her back after she slept with Sonny to pay her back for being such a meddling psycho & get her sent to fern cliff for evaluation because she needs it
    I love that Liz talked to Gail & was able to make progress for herself because she wants to not just for Jason & that Jason’s being so kind & paitent
    Can’t wait for the next update
    This cliffhanger’s got me on edge

    According to Jess on November 28, 2021
  • Great update! The PCPD has terrible timing, but then I guess they’re supposed to. Geez.

    According to Felicia on November 29, 2021
  • ah man! Melissa!!!! that was just…
    but up until that rude interruption,
    u set that up just right
    the tone and the feels
    it really was perfect
    and i m happy to read u r dealing with it
    it’s a delicate balance,
    but damned, u b doing it perfectly!

    According to vicki on November 30, 2021
  • ok all caught up on this one– Carly is just a bitch no two ways about it. AJ is an idiot for believing her.
    loved the strip, almost, scene damn PCPD
    I so loved the conversation they were having.
    can’t wait for more

    According to Pamela Hedstrom on December 2, 2021
  • Time for an update please

    According to leasmom on December 24, 2021
  • Oh come on!!!!! The PCPD could have showed up the next morning!!!

    According to Jeff on October 4, 2024